Last Updated: 6:31 p.m.
An administrative law judge today found that Flagler County Sheriff Jim Manfre violated Florida’s ethics laws on two of three counts with regard to a series of allegations that the sheriff misused his position early in his current tenure.
The judge is recommending a fine of $6,800, substantially less than the Florida Ethics Commission advocate’s recommendation of $19,000. But the judge is also recommending a public reprimand and a public censure of Manfre by the ethics commission, at an open meeting. That, possibly more than the fine, would stain Manfre’s image with a taint of corruption in the thick of his re-election campaign while giving his opponents ammunition chambered and ready to fire.
In a startling pivot from previous vows to fight on, Manfre, in an statement issued at 6 p.m. today, said he will no longer fight the case. “As long as the ethics commission follows the ALJ’s current recommendation,” he said, referring to the Administrative Law Judge, “I have no intention of appealing this decision as it is now time to put this behind us and refocus on keeping our community safe and secure for all who live, work and vacation in Flagler County.”
Administrative Law Judge Suzanne van Wyk based her recommended order on proceedings before her, a hearing held on Dec. 3 in Tallahassee, following an earlier decision by the ethics commission in July that found him in violation of ethics laws on three counts. Manfre requested the hearing before van Wyk. Van Wyk’s recommendation must still be ratified by the ethics commission. In the meantime, Manfre has the right to appeal the recommendation to the District Court of Appeal before it ends up before the ethics commission.
Last week in a brief interview, Manfre said if the judgment came down against him, he would do just that: appeal. He has maintained that while he committed some misjudgments, he violated no policies or laws. He blamed the missteps on a lack of clarity in the sheriff’s office’s policies and procedures–or the lack of policies–while also blaming others at the agency for giving him poor counsel. He says he has since clarified or instituted new policies to ensure against such missteps.
“I have no intention of appealing this decision as it is now time to put this behind us,” Sheriff Manfre says.
Manfre, in the most contrite words he’s used so far in the ethics matter, apologized today to citizens and sheriff’s employees “for making poor decisions as it relates to these incidents in my first few months in office and ask for your forgiveness.” He said the judge’s recommendation shows there was never a corrupt intent in his misjudgments.
But the lawyer in him still could not resist a rejoinder: “This ethics process has been all over the place. Initially, the commission’s advocate recommended a negotiated agreement where I could have agreed to an improper car use and dismiss the other two allegations. A fine of $1,500 was suggested. Then we had the advocate’s most recent recommendation of three charges and a fine of $19,000. Now a recommendation is for the opposite: The ALJ has found violations of the issues they wanted to dismiss and found no violation in the use of the car. The ALJ’s recommendation is now a fine of $6,200 and public censure.”
The ethics case was filed by Linda Bolante, Manfre’s former finance director, after she was pushed out of the agency in 2013. Bolante has also filed a whistleblower suit in circuit court, which is ongoing.
Judge van Wyk found that Manfre misused agency-issued credit cards to pay for bills at hotels in Washington, D.C., on Marco Island and in Orlando, enabling him to exceed the per diem allowance for public officials or employees established by Florida law. “The totality of the evidence proved, clearly and convincingly, that [Manfre] acted with reasonable notice that his conduct was inconsistent with the proper performance of his public duties. There was no legitimate public purpose for charging meals exceeding the per diem rate,” the judge found, citing the various instances.
The judge, in language eviscerating Manfre’s version of events, also found that Manfre improperly accepted a gift from his then-Undersheriff Rick Staly when Manfre accepted to stay nights at Staly’s cabin in Tennessee. Manfre reported the gift eight months late, the judge found, and reported it as the equivalent of $44 a night, though it was valued at $430 a night. Manfre also admitted at the final hearing that he’d done so because, in his words–as quoted in the judge’s recommended order–“$44 sounds better than the $430, or a $1,200 gift.”
At that hearing Manfre had claimed that it had not been a reportable gift because he and his wife never stayed at the cabin on two consecutive nights, but rather “we left one day and came back again.”
The judge termed that a “newly-contrived theory,” declared Manfre’s explanation “simply not credible,” then suggested that Manfre lied under oath in what amounts to the most damaging revelation of the 29-page order: Manfre, the judge wrote, “provided no details as to which nights between May 3 and May 7, 2013, [Manfre] and his wife stayed in the cabin, or where they stayed when they were not in the cabin. Further, the disclosure form, which [Manfre] signed, under oath, indicated [Manfre] stayed three consecutive nights—May 3 to May 6, 2013. […] In the end, [Manfre] claimed that he filed the Form 9 on May 27, 2014, only ‘because it became an issue’ and ‘in an abundance of caution.’ Apparently, not even [Manfre] believed the disclosure that he made under oath was accurate.”
For all that, the judge’s recommendation is not an unmitigated setback for Manfre. The judge found that one of the charges against him, that he misused sheriff’s office vehicles by taking them out of state, does not stand. The ethics commission advocate “did not prove by clear and convincing evidence that [Manfre] acted with corrupt intent with regard to use of the FCSO vehicles.” The judge also found that in the case of one hotel bill (in Tallahassee in May 2014), it was clear that Manfre intended to settle the charges on his personal card, but that due to a clerical error, the charge was placed on his agency-issued card.
David S says
No more of this please voted for him before not again.
if he broke the law he should be indicted for a crime.
Marc says
I am curious, who pays the bills for all these hearings, Manfre or We the People?
r&r says
What ever the fine ends up being we the tax payers are going to foot the bill.
OldSeaDog says
Hmmmmmn–the lawyer who is Sheriff does not like the ruling of a JUDGE.
(Is not that the usual case in Courts when the losing lawyer of a trial protests?)
GOD Bless our Judicial System
Dean Carpenter says
Seems to me we have a pretty clean county but I live a pretty clean life.. I haven’t seen or heard of any large scale activities like gambling, prostitution, drugs or theft that usually indicates collusion. How about it Flagler Live? Anything we need to know?
FlaglerLive says
Dean, current law notwithstanding, editorially we do not consider gambling, prostitution or drugs to be criminal offenses or the business of cops and courts. As with reporting, cops and courts should focus their limited resources on actual harms rather than comstockery.
CL says
A cabin in Tennessee being $430 a night? I call BS, having lived in northern Georgia for many years and knowing the value of ‘cabins’ in both Ga. and Tennessee. $44 is MORE like it.
So this happened when he was first elected too? Hmmmm. I know he’s a democrat, and it seems that the tea bagger republicans who are encased here are out for blood for any democrat. How dare the director of elections ‘record’ shady dealings and lies of republicans, eh? Now your precious republicans are wanting to bring you polluting toxic fracking to Florida and your area, and make it so NO city or country could stop them. It’s time to kick OUT a BUNCH of republicans from power here. We have a surplus of oil right now and no where to store it. What the heck is it with the drill-baby-drillers in THIS tourist-enriched state? Fracking and crap like that will destroy the tourist industry. Looks like some major shady money changed hands with republicans in the legislature.
We need a fresh face at the sheriff’s office. No more Manfre or Fleming and all of there corruption . John lamb looks to be the guy we need check him out.
Heading North says
Election time is coming people of Flagler County — please,please get rid of this guy and get a real police administrator in there before the whole county goes broke and he walks away laughing with full pockets!!!
Layla says
This so called Sheriff willingly broke the law and he knew it, he just didn’t care. I’m sorry, but until criminal charges are brought to this case, this man is NOT to be trusted with his job.
He needs to step down or be removed as Sheriff. It is as simple as that. Break the law, GO TO JAIL.
Outsider says
CL: Seriously? I work for one of the most well-known companies in America and if I so much as leave a candy bar on my hotel bill I get a nasty gram and a request for immediate reimbursement via check. Any official with corporate or public service background knows you don’t drive a company vehicle halfway across the country for personal business. Getting involved in an accident while doing so and then covering it up would be grounds for immediate dismissal. If your car is in the shop, you can’t steal the boss’s car, you get a rental car. The only one to blame here is the guy in the picture above, who we will now probably have to provide a pension for the rest of his life. Please at least stay remotely on topic, which must be hard to do as a Manfre sycophant.
alp says
An administrative law judge is a hired, appointed lawyer who can be fired at will by the powers that be in Florida’s upper echelon. I would wait to see if the decision is appealed and goes to real judges before making any quick condemnations.
(Misplaced molecular data)
/*
No. 1
ORCA calculation (ωB97M-V/def2-TZVPD) on an isolated molecule of C14H22N6O4.

Geometry (Å):
1 O -0.33 -3.52 -1.69
2 O 3.85 -1.45 1.12
3 O 0.76 2.28 0.47
4 O -1.41 -1.21 0.78
5 N -2.09 4.37 -3.06
6 C -0.65 -4.11 -0.67
7 C 3.05 -0.61 1.49
8 C -0.35 1.77 0.27
9 C -0.31 -1.33 0.26
10 C -1.10 4.89 -2.32
11 C -1.78 3.02 -3.26
12 C -0.62 2.75 -2.55
13 N 3.20 0.60 0.99
14 N -0.22 3.93 -2.00
15 N -1.41 2.01 1.07
16 N 0.15 -0.47 -0.64
17 N -0.19 -3.75 0.52
18 C -1.55 -5.30 -0.68
19 C -1.31 2.83 2.27
20 C 1.82 -0.92 2.34
21 C 0.04 1.41 -2.24
22 C 1.18 -2.33 2.02
23 C -0.52 0.81 -0.92
24 C 0.57 -2.53 0.61
25 H -1.04 5.90 -2.00
26 H -2.37 2.28 -3.75
27 H 4.00 0.78 0.43
28 H 2.50 1.33 1.08
29 H 0.60 3.97 -1.36
30 H -2.22 1.46 0.94
31 H 1.05 -0.63 -1.06
32 H -0.46 -4.23 1.36
33 H -2.52 -5.04 -0.20
34 H -1.73 -5.55 -1.72
35 H -1.07 -6.15 -0.21
36 H -0.87 2.22 3.07
37 H -0.74 3.75 2.12
38 H -2.30 3.18 2.58
39 H 1.10 -0.14 2.30
40 H 2.19 -0.93 3.37
41 H -0.13 0.67 -2.96
42 H 1.13 1.59 -2.11
43 H 1.87 -3.14 2.25
44 H 0.37 -2.43 2.76
45 H -1.61 0.60 -1.06
46 H 1.47 -2.60 -0.02

HOMO-LUMO gap: 0.343 Ha
Energy relative to the best compared isomer or geometry (same formula, charge and spin): 2.20 kcal per mole

These are the Mulliken partial charges, in e, on atoms 1 to 6:
1. O -0.63
2. O -0.69
3. O -0.86
4. O -0.75
5. N -0.65
6. C 0.73

***

No. 2
ORCA calculation (ωB97M-V/def2-TZVPD) on a cluster of 2 separate species, C14H22NO in total.

Geometry (Å):
1 C -1.76 0.56 0.72
2 N -1.09 0.88 -0.51
3 C -0.85 2.29 -0.76
4 C -1.21 2.70 -2.18
5 O -0.82 1.69 -3.10
6 C -1.56 0.50 -2.90
7 C -1.22 -0.12 -1.55
8 H -2.79 0.23 0.51
9 H -1.24 -0.25 1.23
10 H -1.77 1.44 1.38
11 H -1.45 2.87 -0.04
12 H 0.22 2.50 -0.57
13 H -2.30 2.90 -2.20
14 H -0.64 3.60 -2.46
15 H -2.65 0.67 -2.93
16 H -1.24 -0.17 -3.71
17 H -0.26 -0.67 -1.63
18 H -1.98 -0.84 -1.25
19 C 1.57 1.30 1.64
20 C 1.49 0.20 0.63
21 C 2.06 0.39 -0.72
22 C 1.18 -1.11 1.10
23 C 1.33 -2.26 0.27
24 C 0.91 -3.51 0.70
25 C 0.37 -3.68 1.98
26 C 0.24 -2.57 2.84
27 C 0.69 -1.32 2.43
28 H 0.64 1.42 2.21
29 H 2.37 1.10 2.37
30 H 1.78 2.26 1.16
31 H 1.53 -0.19 -1.49
32 H 2.01 1.44 -1.02
33 H 3.12 0.08 -0.75
34 H 1.78 -2.15 -0.72
35 H 1.01 -4.36 0.02
36 H 0.06 -4.66 2.32
37 H -0.19 -2.67 3.83
38 H 0.66 -0.48 3.13

Total charge: +1
HOMO-LUMO gap: 0.222 Ha
Energy relative to the best compared isomer or geometry (same formula, charge and spin): 56.41 kcal per mole

These are the Mulliken partial charges, in e, on atoms 1 to 6:
1. C -1.13
2. N 0.43
3. C -0.21
4. C -0.72
5. O -0.41
6. C -0.70

***

No. 3
ORCA calculation (ωB97M-V/def2-TZVPD) on a structure of composition C14H23BN6OPd.

Geometry (Å):
1 C 1.60 -0.17 -1.61
2 N 0.30 -0.08 -1.91
3 N 0.10 -0.67 -3.16
4 C 1.29 -1.06 -3.67
5 C 2.27 -0.73 -2.72
6 B -1.39 -0.88 -3.69
7 N -2.07 -1.75 -2.52
8 N -2.07 -1.21 -1.23
9 C -2.47 -2.16 -0.37
10 C -2.82 -3.31 -1.12
11 C -2.53 -3.03 -2.46
12 Pd -1.39 0.82 -0.80
13 N -2.06 0.56 -3.75
14 N -2.03 1.35 -2.59
15 C -2.58 2.55 -2.83
*/
Tired the past and current sheriff says
This is why we need someone new and still an active law enforcement officer. Manfre never was a police officer, staly is a product of manfre, Fleming had ethic issues too, one candidate only cares about the jail and not about the Dept and community and the other candidate is just in for the ride. I’m voting Chris Yates for Sheriff. I have not seen anything about this candidate to discredit his ability to do the job for us here in flagler county. Do some researching on him flagler families, he is legit and what flagler county needs
30 year cop says
The cabin involved is owned by Sheriff Candidate Rick Staly, who was Manfre’s Undersheriff. The same Rick Staly that was a Democrat for about 15 years, then a Republican for 2 years, moved to Flagler as a Democrat and stayed as such for about 5 years. The same Rick Staly that allowed meals for he and his wife to be put by Manfre on the County Credit Card. The same Rick Staly that was demoted in Orange County for selling vitamins while wearing his uniform and for his personal indiscrepancies. The same Rick Staly who stood arm & arm with Manfre for 2 years. If you don’t like Manfre, please vote him out but don’t put in his partner in crime, Staly.
Common Sense says
Seems unethical that a fine of $19k was being reduced to under $7,000. I certainly hope when this goes before the Ethics Board that they do not allow this fine to be reduced so drastically. This elected official never admitted he misused his position and conducted himself in an unethical manner. He cannot shift his responsibility. He is an attorney, and need not throw the blame on any of his staff. No one should have to remind him of common sense. He did what he did, he should have owned it from the start, and because he did not, he drew more attention to himself and therefore deserves the punishment he gets. Dragging this out was not wise for a political election campaign he is engaged in, nor was it beneficial for the tax payers who have most likely been flipping the bill. Please tell us how much tax dollars has been spent by Manfre defending himself. Please also tell us how much he has spent out of pocket. Any of our tax dollars should be reimbursed. Also, please tell us why Manfre has all the sudden decided to not continue to fight this. The $19k fine is still a slap on the had considering he is paid over $130k a year.
30 year Cop says
In 1977 Rick Staly fired a Deputy for growing marijuana at his home. Sounds good, right? The Deputy was hired by the Orange County Sheriff’s Office after receiving a Pardon for fraud and conspiracy. The Deputy was hired over other applicants, why? Because Rick Staly authorized the hiring at the request of a friend, even though Staly did not even know the hired Deputy. Staly’s response, ” We made a mistake in that we did not link the time line the growing marijuana and the pardon”. “Had it been linked he never would have been hired”.
So who will Rick Staly authorize to be hired in Flagler County should he win?
footballen says
Only in Flagler County.